Highlights of a new report from the National Center for Health Statistics (NCHS)

Highlights of a new report from the National Center for Health Statistics (NCHS)

Many Teens Engage in Risk-Taking Behaviors That Can Lead to Chronic Disease, Injury, or Death

For Release July 11, 1995

Records of crystals, kept here for reference =
/*
# Li2Fe2S3

Li2Fe2S3 after structural relaxation (PBE-GGA, Materials Project).

Unit cell a=9.249 b=9.249 c=6.516 alpha=110.19 beta=110.19 gamma=80.92
Element x y z (fractional)
1 Li 0.077 0.923 0.750
2 Li 0.223 0.777 0.250
3 Li 0.324 0.491 0.955
4 Li 0.491 0.324 0.455
5 Li 0.509 0.676 0.545
6 Li 0.676 0.509 0.045
7 Li 0.777 0.223 0.750
8 Li 0.923 0.077 0.250
9 Fe 0.059 0.563 0.399
10 Fe 0.129 0.287 0.125
11 Fe 0.287 0.129 0.625
12 Fe 0.437 0.941 0.101
13 Fe 0.563 0.059 0.899
14 Fe 0.713 0.871 0.375
15 Fe 0.871 0.713 0.875
16 Fe 0.941 0.437 0.601
17 S 0.058 0.219 0.718
18 S 0.106 0.648 0.798
19 S 0.219 0.058 0.218
20 S 0.285 0.493 0.311
21 S 0.352 0.894 0.702
22 S 0.493 0.285 0.811
23 S 0.507 0.715 0.189
24 S 0.648 0.106 0.298
25 S 0.715 0.507 0.689
26 S 0.781 0.942 0.782
27 S 0.894 0.352 0.202
28 S 0.942 0.781 0.282

Energy relative to the elements, eV per atom: -0.898
SG: C2/c, No. 15
Offset from the most stable computed form, meV/atom: 0

* * * * *

A plane-wave DFT calculation with PBE-GGA was carried out for a geometry-optimized SmYO3 structure.

Corrected total energy (MP2020 scheme) ... -181.168 eV per cell
Formation enthalpy at 0 K ... -371.7 kJ per mole of atoms
Piezoelectric modulus e_max ... 1.0 C/m²
Uncorrected energy ... -0.31774 Ha/atom

Cell and atoms, written as extended XYZ:
```
20
Lattice="6.010 0.000 0.000 0.000 5.879 0.000 0.000 0.000 8.509" Properties=species:S:1:pos:R:3 pbc="T T T"
Sm 0.204 0.028 0.000
Sm 2.801 2.968 4.254
Sm 3.209 2.911 0.000
Sm 5.806 5.851 4.254
Y 0.128 2.947 2.278
Y 2.877 0.007 6.533
Y 3.133 5.872 2.278
Y 5.882 2.933 6.533
O 0.514 2.159 4.486
O 0.740 4.991 6.204
O 1.430 4.662 3.137
O 1.575 1.723 7.391
O 2.265 2.052 1.950
O 2.491 5.098 0.231
O 3.519 0.781 4.486
O 3.745 3.827 6.204
O 4.434 4.156 3.137
O 4.580 1.217 7.391
O 5.270 0.888 1.950
O 5.496 3.720 0.231
```

* * * * *

The following is a DFT calculation (GGA+U) of MnH20C2S2N6O12 after structural relaxation.

ΔH_f (0 K) in eV/atom: -1.04
Magnetization in μB per formula unit: 5.00

Cell: 6.4444 6.4772 10.1436 Å, 89.63 84.03 70.44°
Closest atoms and distances in Å follow each position.
Space group P-1 (No. 2)
Unique sites:
Mn 0.0000 0.0000 0.0000 (multiplicity 1)  6 O 2.18-2.25
H 0.0860 0.3709 0.1113 (multiplicity 2)  1 O 0.99
H 0.1758 0.5687 0.8880 (multiplicity 2)  1 O 0.99
H 0.1830 0.0439 0.3287 (multiplicity 2)  1 N 1.02
H 0.2242 0.2965 0.3207 (multiplicity 2)  1 N 1.02
H 0.2465 0.9786 0.6718 (multiplicity 2)  1 N 1.02
H 0.2467 0.8488 0.5181 (multiplicity 2)  1 N 1.02
H 0.2597 0.4643 0.5063 (multiplicity 2)  1 N 1.02
H 0.3083 0.3284 0.6561 (multiplicity 2)  1 N 1.02
H 0.3830 0.0915 0.8715 (multiplicity 2)  1 O 0.99
H 0.4458 0.8296 0.8777 (multiplicity 2)  1 O 0.99
C 0.2305 0.1653 0.5057 (multiplicity 2)  3 N 1.34
S 0.3383 0.6411 0.2163 (multiplicity 2)  4 O 1.49-1.50
N 0.2015 0.1732 0.3769 (multiplicity 2)  2 H 1.02
N 0.2378 0.9845 0.5720 (multiplicity 2)  2 H 1.02
N 0.2464 0.3412 0.5665 (multiplicity 2)  2 H 1.02
*/

A new report from the National Center for Health Statistics, Centers for Disease Control and Prevention, shows that a substantial number of U.S. adolescents and young adults, aged 12-21 years, are engaged in behaviors such as smoking, binge-drinking, and violence that can influence health and longevity, both in the short term and later in life. Data are from the 1992 National Health Interview Survey’s Youth Risk Behavior Survey.

Almost 60 percent of youth have smoked cigarettes, two-thirds have drunk alcohol, and almost a third reported the use of illegal drugs, according to the nationwide survey of a sample of youth reached through household interviews. One in four teenagers had engaged in binge-drinking and an equal number had driven after drinking.

Youth are also engaging in sexual activity that place them at risk for serious health and social consequences. About one-fourth of sexually experienced teenagers had failed to use a reliable method of contraception the last time they had intercourse. About one-half had failed to use a condom, thereby increasing their chances of contracting sexually transmitted diseases. More than 4 out of 10 youth had more than one sex partner in their lifetime. The survey also covered weight control, physical activity, seat belt and helmet use, violence, and runaway homeless experiences.

Among other findings:

  • About one in six teenagers had stayed out overnight without permission within the past year; about one in seven teenagers had stayed overnight at an at-risk location, such as a bus station, car, or a stranger’s home.
  • Only a small percent (1.8) of youth consistently used helmets when bike riding, and just over a third wore seat belts as a passenger in a car.
  • About one-third of all youth considered themselves to be at least slightly overweight, with girls almost twice as likely as boys to view themselves as overweight. The vast majority were trying to lose or maintain their weight by exercise and about half were dieting. Only a small percent were using diet pills (3.4) or vomiting (3.9) to lose weight.

For more information about Vital and Health Statistics series 10, no. 192 “Health-Risk Behaviors Among Our Nation’s Youth: United States, 1992,” please contact NCHS, Office of Public Affairs (301) 458-4800, or via e-mail at paoquery@nch10a.em.cdc.gov.

No. 192. Health-Risk Behaviors Among Our Nation’s Youth: United States, 1992. 51 pp. (PHS) 95-1520. GPO stock number 017-022-01307-0 price $4.50 [PDF – 445 KB]